Smoothwall Insights

Emerging Challenges | Machine Drift | Smoothwall

Written by Smoothwall | May 20, 2024 9:48:42 AM

The rise of technologies like generative AI is transforming the very nature of our digital spaces. This presents a challenge for DSLs, who are required by KCSIE to understand online threats and protect students from them. With this in mind, Smoothwall has put together 'Emerging Challenges' - a series of quick reference articles to help safeguarders understand the key digital safety trends they need to know.  

This article covers machine drift - a digital risk that is becoming more prevalent as we increasingly rely on technology powered by machine learning algorithms.   

What is machine drift?

Machine drift occurs when algorithms and information used to build certain technology inadvertently exposes young people to problematic content as they continue to engage with it. 

For example, a child may begin looking at age-appropriate video content around a computer game they enjoy. However, as they interact with more videos, increasingly inappropriate content is recommended to them, as the algorithm behind the platform makes recommendations based on the preferences of previous users with similar interests.

Current research shows machine drift is a relevant and real-time concern for today’s students. One recent example shows that children are just three clicks away from adult content on platforms like YouTube. 

At the same time, graphic content driven by geopolitical tensions has intensified over the past year, spreading rapidly on social media platforms like TikTok. As user-generated content continues to proliferate online, machine drift will be a key enabler in driving the influence of questionable political agendas, unhealthy trends and disinformation. 

How to remedy machine drift

  • Educate students on the importance of digital literacy

    • Encourage students to actively evaluate the credibility and reliability of any online sources they encounter or engage with

• The page is interrupted by data records:
+++
A molecular structure, C2H4INS, computed with wB97M-V/def2-TZVPD.

```
! RIJCOSX wB97M-V def2-TZVPD def2/J DEFGRID3
* xyz 0 1
C -1.02515 1.36563 -0.13601
C 1.25204 -0.64279 0.74317
N 0.43541 -1.11117 -0.08787
S -0.89017 0.91611 -1.74067
I -2.69993 0.42982 0.76927
H 1.27930 -0.95530 1.87767
H 1.65459 0.23519 0.50342
H 0.18112 1.63495 -2.08798
H -0.18719 -1.87243 0.15901
*
```

Its electronic energy is -22560.5925 eV. As for the energy above the lowest of the compared OMol25 structures with the same formula, charge and spin: 85.6 kcal per mole. The calculation puts the highest occupied orbital energy at -0.3155 hartree. For the HOMO-LUMO gap, the calculation gives 8.221 eV.

***

C2H4INS in the gas phase, computed with wB97M-V/def2-TZVPD.

```
! RIJCOSX wB97M-V def2-TZVPD def2/J DEFGRID3
* xyz 0 1
H 0.81959 1.35761 2.08403
N 0.75325 0.83792 1.23800
C -0.31500 0.81344 0.51992
C -0.25787 -0.00562 -0.66598
S 1.03847 -1.31779 -0.06266
I 0.21025 -2.94142 -1.63896
H -1.34544 1.15973 1.02568
H 0.24345 0.64892 -1.46096
H -1.14669 -0.55279 -1.03908
*
```

Its electronic energy is -22563.4845 eV. The SMILES is [H]/N=C/CSI. As for the energy above the lowest of the compared OMol25 structures with the same formula, charge and spin: 18.9 kcal per mole. The calculation puts the highest occupied orbital energy at -0.3136 hartree. For the HOMO-LUMO gap, the calculation gives 8.464 eV.

***

C2H4IOPS in the gas phase, computed with wB97M-V/def2-TZVPD.

```
! RIJCOSX wB97M-V def2-TZVPD def2/J DEFGRID3
* xyz 0 1
C -1.65272 -0.50512 -0.19967
C -0.36838 0.20325 0.12038
P 0.44758 1.33866 -0.94314
O 1.55306 1.86670 -0.00755
S 2.93720 0.66601 0.93993
I 2.99226 -1.21995 -0.44939
H -1.96958 -0.43501 0.85067
H -1.41964 -1.52012 -0.56523
H -2.54322 -0.10443 -0.76181
H 0.02342 -0.28999 1.01581
*
```

Its electronic energy is -32407.9402 eV. The SMILES is C/C=P/OSI. As for the energy above the lowest of the compared OMol25 structures with the same formula, charge and spin: 30.4 kcal per mole. The calculation puts the highest occupied orbital energy (alpha / beta) at -0.3092 / -0.3091 hartree. For the HOMO-LUMO gap (alpha / beta), the calculation gives 6.675 / 6.672 eV.


Computed, not measured: a cluster of 17 separate species, C62H141N3O40 in total in a non-equilibrium geometry, with wB97M-V/def2-TZVPD.

Geometry (Å):
C1 3.111 -0.738 -8.556
C2 4.180 -0.675 -7.456
O1 4.073 0.531 -6.740
C3 4.869 0.784 -5.686
O2 5.798 -0.005 -5.411
O3 4.510 1.900 -4.945
C4 3.258 2.499 -5.161
H1 2.112 -0.449 -8.229
H2 3.022 -1.690 -9.078
H3 3.386 -0.003 -9.312
H4 5.147 -0.734 -7.955
H5 4.192 -1.480 -6.720
H6 2.969 2.689 -6.195
H7 3.253 3.471 -4.669
H8 2.601 1.775 -4.680
C5 -2.021 3.926 0.277
C6 -1.859 5.377 0.703
O4 -1.301 5.336 1.990
C7 -0.997 6.432 2.638
O5 -1.086 7.557 2.193
O6 -0.754 6.156 3.884
C8 -0.362 7.150 4.847
H9 -1.122 3.503 -0.172
H10 -2.749 3.876 -0.533
H11 -2.336 3.236 1.060
H12 -2.832 5.867 0.650
H13 -1.189 5.868 -0.002
H14 -0.889 8.104 4.868
H15 0.655 7.432 4.575
+++

  • Minimise inadvertent access to harmful content with digital safeguarding solutions 

    • Implement robust filtering and monitoring systems that protect pupils from a majority of online risks and highlight areas where inappropriate content may be accessible, so that schools can act accordingly

    • Regularly review and update these systems to ensure they have the capacity to quickly adapt to emerging trends like machine drift 

  • Invest in tools with real-time, content-aware capabilities

    • Solutions with the power to analyse content in real-time can help safeguarders identify instances of machine drift as it happens, empowering them to take action before harmful content is shown